Wanted:
Now transcribe the whole of the notes further down with every line break kept.

File:
=====
[1]
For Rb3YbP2O8, a cell relaxed with PBE gives the calculated powder X-ray diffraction pattern in this record (Cu Kα X-rays).
Neutral-atom scattering factors, no anomalous dispersion.

Atomic structure:
Cell: 5.799 5.799 8.102 Å, 90.00 90.00 120.00°
Sites, in units of the cell vectors:
Rb  0.000  0.000  0.000
Rb  0.333  0.667  0.741
Rb  0.667  0.333  0.259
Yb  0.000  0.000  0.500
P  0.333  0.667  0.273
P  0.667  0.333  0.727
O  0.187  0.373  0.338
O  0.187  0.813  0.338
O  0.333  0.667  0.084
O  0.373  0.187  0.662
O  0.627  0.813  0.338
O  0.667  0.333  0.916
O  0.813  0.187  0.662
O  0.813  0.627  0.662

The 10 most intense peaks (10 to 90 degrees two-theta), in order of rising 2θ:
10.92°, intensity 19; 17.66°, intensity 17; 20.81°, intensity 16; 28.30°, intensity 100; 30.84°, intensity 75; 42.35°, intensity 39; 53.29°, intensity 31; 54.84°, intensity 14; 55.32°, intensity 26; 71.64°, intensity 14

***

[2]
For RbYbP2O7, a cell relaxed with PBE gives the calculated powder X-ray diffraction pattern in this record (Cu Kα X-rays).
Neutral-atom scattering factors, no anomalous dispersion.

Atomic structure:
Cell: 7.838 11.103 8.831 Å, 90.00 105.83 90.00°
Sites, in units of the cell vectors:
Rb  0.187  0.178  0.065
Rb  0.187  0.322  0.565
Rb  0.813  0.678  0.435
Rb  0.813  0.822  0.935
Yb  0.234  0.598  0.251
Yb  0.234  0.902  0.751
Yb  0.766  0.098  0.249
Yb  0.766  0.402  0.749
P  0.130  0.601  0.815
P  0.130  0.899  0.315
P  0.436  0.637  0.686
P  0.436  0.863  0.186
P  0.564  0.137  0.814
P  0.564  0.363  0.314
P  0.870  0.101  0.685
P  0.870  0.399  0.185
O  0.008  0.503  0.719
O  0.008  0.997  0.219
O  0.075  0.727  0.747
O  0.075  0.773  0.247
O  0.144  0.593  0.989
O  0.144  0.907  0.489
O  0.327  0.570  0.797
O  0.327  0.930  0.297
O  0.334  0.610  0.516
O  0.334  0.890  0.016
O  0.379  0.080  0.766
O  0.379  0.420  0.266
O  0.449  0.729  0.229
O  0.449  0.771  0.729
O  0.551  0.229  0.271
O  0.551  0.271  0.771
O  0.621  0.580  0.734
O  0.621  0.920  0.234
O  0.666  0.110  0.984
O  0.666  0.390  0.484
O  0.673  0.070  0.703
O  0.673  0.430  0.203
O  0.856  0.093  0.511
O  0.856  0.407  0.011
O  0.925  0.227  0.753
O  0.925  0.273  0.253
O  0.992  0.003  0.781
O  0.992  0.497  0.281

The 10 most intense peaks (10 to 90 degrees two-theta), in order of rising 2θ:
14.20°, intensity 38; 15.61°, intensity 48; 19.10°, intensity 24; 20.91°, intensity 48; 22.49°, intensity 26; 23.60°, intensity 29; 26.83°, intensity 63; 27.95°, intensity 49; 28.17°, intensity 100; 31.60°, intensity 29

***

[3]
For Rb2Zn3P4O14, a cell relaxed with PBE gives the calculated powder X-ray diffraction pattern in this record (Cu Kα X-rays).
Neutral-atom scattering factors, no anomalous dispersion.

Atomic structure:
Cell: 7.328 7.348 13.461 Å, 90.00 92.19 90.00°
Sites, in units of the cell vectors:
Rb  0.058  0.000  0.085
Rb  0.386  0.750  0.591
Rb  0.614  0.250  0.409
Rb  0.942  0.500  0.915
Zn  0.209  0.252  0.598
Zn  0.211  0.374  0.238
Zn  0.448  0.341  0.886
Zn  0.552  0.841  0.114
Zn  0.789  0.874  0.762
Zn  0.791  0.752  0.402
P  0.112  0.028  0.391
P  0.163  0.039  0.809
P  0.368  0.740  0.317
P  0.432  0.765  0.889
P  0.568  0.265  0.111
P  0.632  0.240  0.683
P  0.837  0.539  0.191
P  0.888  0.528  0.609
O  0.000  0.440  0.148
O  0.000  0.940  0.852
O  0.086  0.488  0.582
O  0.123  0.143  0.297
O  0.130  0.084  0.699
O  0.189  0.825  0.368
O  0.220  0.199  0.877
O  0.232  0.101  0.478
O  0.335  0.583  0.872
O  0.336  0.900  0.807
O  0.345  0.534  0.331
O  0.358  0.798  0.207
O  0.367  0.262  0.136
O  0.397  0.845  0.992
O  0.470  0.318  0.622
O  0.530  0.818  0.378
O  0.603  0.345  0.008
O  0.633  0.762  0.864
O  0.642  0.298  0.793
O  0.655  0.034  0.669
O  0.664  0.400  0.193
O  0.665  0.083  0.128
O  0.768  0.601  0.522
O  0.780  0.699  0.123
O  0.811  0.325  0.632
O  0.870  0.584  0.301
O  0.877  0.643  0.703
O  0.914  0.988  0.418

The 10 most intense peaks (10 to 90 degrees two-theta), in order of rising 2θ:
=====

Solution:
[1]
For Rb3YbP2O8, a cell relaxed with PBE gives the calculated powder X-ray diffraction pattern in this record (Cu Kα X-rays).
Neutral-atom scattering factors, no anomalous dispersion.

Atomic structure:
Cell: 5.799 5.799 8.102 Å, 90.00 90.00 120.00°
Sites, in units of the cell vectors:
Rb  0.000  0.000  0.000
Rb  0.333  0.667  0.741
Rb  0.667  0.333  0.259
Yb  0.000  0.000  0.500
P  0.333  0.667  0.273
P  0.667  0.333  0.727
O  0.187  0.373  0.338
O  0.187  0.813  0.338
O  0.333  0.667  0.084
O  0.373  0.187  0.662
O  0.627  0.813  0.338
O  0.667  0.333  0.916
O  0.813  0.187  0.662
O  0.813  0.627  0.662

The 10 most intense peaks (10 to 90 degrees two-theta), in order of rising 2θ:
10.92°, intensity 19; 17.66°, intensity 17; 20.81°, intensity 16; 28.30°, intensity 100; 30.84°, intensity 75; 42.35°, intensity 39; 53.29°, intensity 31; 54.84°, intensity 14; 55.32°, intensity 26; 71.64°, intensity 14

***

[2]
For RbYbP2O7, a cell relaxed with PBE gives the calculated powder X-ray diffraction pattern in this record (Cu Kα X-rays).
Neutral-atom scattering factors, no anomalous dispersion.

Atomic structure:
Cell: 7.838 11.103 8.831 Å, 90.00 105.83 90.00°
Sites, in units of the cell vectors:
Rb  0.187  0.178  0.065
Rb  0.187  0.322  0.565
Rb  0.813  0.678  0.435
Rb  0.813  0.822  0.935
Yb  0.234  0.598  0.251
Yb  0.234  0.902  0.751
Yb  0.766  0.098  0.249
Yb  0.766  0.402  0.749
P  0.130  0.601  0.815
P  0.130  0.899  0.315
P  0.436  0.637  0.686
P  0.436  0.863  0.186
P  0.564  0.137  0.814
P  0.564  0.363  0.314
P  0.870  0.101  0.685
P  0.870  0.399  0.185
O  0.008  0.503  0.719
O  0.008  0.997  0.219
O  0.075  0.727  0.747
O  0.075  0.773  0.247
O  0.144  0.593  0.989
O  0.144  0.907  0.489
O  0.327  0.570  0.797
O  0.327  0.930  0.297
O  0.334  0.610  0.516
O  0.334  0.890  0.016
O  0.379  0.080  0.766
O  0.379  0.420  0.266
O  0.449  0.729  0.229
O  0.449  0.771  0.729
O  0.551  0.229  0.271
O  0.551  0.271  0.771
O  0.621  0.580  0.734
O  0.621  0.920  0.234
O  0.666  0.110  0.984
O  0.666  0.390  0.484
O  0.673  0.070  0.703
O  0.673  0.430  0.203
O  0.856  0.093  0.511
O  0.856  0.407  0.011
O  0.925  0.227  0.753
O  0.925  0.273  0.253
O  0.992  0.003  0.781
O  0.992  0.497  0.281

The 10 most intense peaks (10 to 90 degrees two-theta), in order of rising 2θ:
14.20°, intensity 38; 15.61°, intensity 48; 19.10°, intensity 24; 20.91°, intensity 48; 22.49°, intensity 26; 23.60°, intensity 29; 26.83°, intensity 63; 27.95°, intensity 49; 28.17°, intensity 100; 31.60°, intensity 29

***

[3]
For Rb2Zn3P4O14, a cell relaxed with PBE gives the calculated powder X-ray diffraction pattern in this record (Cu Kα X-rays).
Neutral-atom scattering factors, no anomalous dispersion.

Atomic structure:
Cell: 7.328 7.348 13.461 Å, 90.00 92.19 90.00°
Sites, in units of the cell vectors:
Rb  0.058  0.000  0.085
Rb  0.386  0.750  0.591
Rb  0.614  0.250  0.409
Rb  0.942  0.500  0.915
Zn  0.209  0.252  0.598
Zn  0.211  0.374  0.238
Zn  0.448  0.341  0.886
Zn  0.552  0.841  0.114
Zn  0.789  0.874  0.762
Zn  0.791  0.752  0.402
P  0.112  0.028  0.391
P  0.163  0.039  0.809
P  0.368  0.740  0.317
P  0.432  0.765  0.889
P  0.568  0.265  0.111
P  0.632  0.240  0.683
P  0.837  0.539  0.191
P  0.888  0.528  0.609
O  0.000  0.440  0.148
O  0.000  0.940  0.852
O  0.086  0.488  0.582
O  0.123  0.143  0.297
O  0.130  0.084  0.699
O  0.189  0.825  0.368
O  0.220  0.199  0.877
O  0.232  0.101  0.478
O  0.335  0.583  0.872
O  0.336  0.900  0.807
O  0.345  0.534  0.331
O  0.358  0.798  0.207
O  0.367  0.262  0.136
O  0.397  0.845  0.992
O  0.470  0.318  0.622
O  0.530  0.818  0.378
O  0.603  0.345  0.008
O  0.633  0.762  0.864
O  0.642  0.298  0.793
O  0.655  0.034  0.669
O  0.664  0.400  0.193
O  0.665  0.083  0.128
O  0.768  0.601  0.522
O  0.780  0.699  0.123
O  0.811  0.325  0.632
O  0.870  0.584  0.301
O  0.877  0.643  0.703
O  0.914  0.988  0.418

The 10 most intense peaks (10 to 90 degrees two-theta), in order of rising 2θ: